********
Density functional theory data (PBE) for LiC12 after structural relaxation.

Cell: 4.299 4.299 14.711 Å, 90.00 90.00 60.03°
Sites, in units of the cell vectors:
Li 0.167 0.833 0.750
Li 0.833 0.167 0.250
C 0.166 0.167 0.622
C 0.166 0.167 0.878
C 0.166 0.834 0.122
C 0.166 0.834 0.378
C 0.167 0.166 0.122
C 0.167 0.166 0.378
C 0.167 0.500 0.622
C 0.167 0.500 0.878
C 0.500 0.167 0.122
C 0.500 0.167 0.378
C 0.500 0.500 0.122
C 0.500 0.500 0.378
C 0.500 0.500 0.622
C 0.500 0.500 0.878
C 0.500 0.833 0.622
C 0.500 0.833 0.878
C 0.833 0.500 0.122
C 0.833 0.500 0.378
C 0.833 0.834 0.622
C 0.833 0.834 0.878
C 0.834 0.166 0.622
C 0.834 0.166 0.878
C 0.834 0.833 0.122
C 0.834 0.833 0.378

Values from the calculation:
Space-group type   Cmcm (63)
Electronic total energy   -225.35 eV/cell
********
Reproduce everything further up without altering anything.
Density functional theory data (PBE) for LiC12 after structural relaxation.

Cell: 4.299 4.299 14.711 Å, 90.00 90.00 60.03°
Sites, in units of the cell vectors:
Li 0.167 0.833 0.750
Li 0.833 0.167 0.250
C 0.166 0.167 0.622
C 0.166 0.167 0.878
C 0.166 0.834 0.122
C 0.166 0.834 0.378
C 0.167 0.166 0.122
C 0.167 0.166 0.378
C 0.167 0.500 0.622
C 0.167 0.500 0.878
C 0.500 0.167 0.122
C 0.500 0.167 0.378
C 0.500 0.500 0.122
C 0.500 0.500 0.378
C 0.500 0.500 0.622
C 0.500 0.500 0.878
C 0.500 0.833 0.622
C 0.500 0.833 0.878
C 0.833 0.500 0.122
C 0.833 0.500 0.378
C 0.833 0.834 0.622
C 0.833 0.834 0.878
C 0.834 0.166 0.622
C 0.834 0.166 0.878
C 0.834 0.833 0.122
C 0.834 0.833 0.378

Values from the calculation:
Space-group type   Cmcm (63)
Electronic total energy   -225.35 eV/cell